No. Although years ago the law required a work to have;a valid copyright notice;printed on it to receive protection on published work, this is no longer the case. Adding the symbol or any other copyright notice is no longer necessary to receive protection. Now, you receive absolute protection as soon as you create your work. You don’t need to take any other action or go through the official registration process;if you don’t want to. As soon as you create any creative work that meets the minimal standards for copyright protection then you get protection.
Creators who want to reuse certain works shouldn’t simply feel free to copy works just because they don’t have a copyright notice. Instead, they should consider getting a license to copy or reuse the work, or they should reuse the work according to the guidelines of Fair Use.
Even though it’s not required, there are two good reasons why it’s still a good idea to put a copyright notice on your work, especially if you plan on using your work commercially or if you’re concerned about someone infringing on your work.
1. Putting a notice on your work informs people that your work is copyrighted. Often people don’t fully understand what is and isn’t copyrighted. Some people even think that everything on the Internet is public domain.
2. Putting a notice on your work may help establish willful infringement. Formal requirements for noticeIf you do decide that you want to put a copyright notice on your work, there are three requirements to make a valid notice:
1. The © symbol (in some cases (c) is substituted), the word "Copyright" or abbreviation "Copr." 2. The first year of publication. 3. The name of the owner of the copyright should be identified. For example: © 2007 John DoeThe three requirements you need to follow to give valid notice of a sound recording (a phonorecord) are very similar:
46
Properties=species:S:1:pos:R:3:forces:R:3 method="wB97M-V/def2-TZVPD" total_charge=0 multiplicity=3 e_homo_ev="-5.63 / -8.15" homo_lumo_gap_ha="0.2033 / 0.2959" energy_ev=-62067.2875 relative_energy_ev=4.427
C 2.164 1.196 -0.451 1.682 1.200 -1.502
C 1.461 -2.404 -0.828 1.542 -1.193 -1.976
H 2.458 0.939 -1.483 0.244 0.225 -0.263
H 3.077 1.290 0.141 -0.032 0.041 -0.112
H 1.636 2.142 -0.502 0.081 -0.286 0.270
H 0.734 -3.169 -0.508 0.522 0.755 0.019
H 1.296 -2.224 -1.916 -0.101 -0.189 0.285
H 2.471 -2.858 -0.744 -0.507 0.081 -0.265
C -0.330 1.872 -2.135 -1.025 0.167 -0.043
C -1.387 2.685 -2.585 0.334 -0.597 0.258
C -2.686 2.200 -2.442 0.100 -0.130 0.076
C -2.881 0.979 -1.800 0.672 -0.303 0.251
H 0.694 2.206 -2.269 -0.116 -0.158 -0.003
H -1.155 3.658 -3.013 -0.188 -0.249 -0.054
H -3.546 2.754 -2.825 0.299 -0.095 0.198
H -3.875 0.580 -1.632 0.078 0.303 -0.160
N -0.515 0.707 -1.512 -0.526 -0.486 -0.214
C -1.768 0.247 -1.315 -0.189 1.373 -0.633
C -1.975 -1.011 -0.547 -0.450 -1.279 0.774
N -0.944 -1.528 0.135 -0.229 0.550 -0.359
C -1.083 -2.660 0.822 -0.957 -0.354 -0.529
C -3.380 -2.872 0.164 0.289 0.118 0.200
C -2.279 -3.400 0.849 0.519 0.919 -0.235
H -0.179 -3.056 1.278 -0.261 0.191 0.129
H -2.292 -4.338 1.385 -0.223 -0.010 -0.011
C -3.232 -1.667 -0.516 0.516 0.383 -0.187
H -4.061 -1.213 -1.049 0.039 -0.400 0.127
H -4.342 -3.385 0.170 0.268 0.124 -0.042
Ni 1.548 -0.583 -0.218 -2.535 -1.120 2.937
C 1.960 -1.629 1.404 0.354 -0.549 1.253
H 2.346 -2.654 1.319 -0.013 0.393 -0.291
H 1.174 -1.691 2.168 0.028 0.315 -0.309
H 2.764 -1.013 1.833 -0.064 -0.030 -0.125
C 1.852 2.928 1.863 0.346 0.210 0.171
C 1.406 1.551 2.368 0.214 -0.333 -0.453
C 0.503 1.824 3.578 -0.014 -0.211 0.037
C 0.693 0.694 1.304 -1.008 0.827 0.700
H 1.065 3.380 1.244 0.235 -0.067 0.063
H 2.798 2.902 1.313 -0.358 0.109 -0.003
H 2.014 3.597 2.717 -0.029 -0.053 -0.074
H 2.286 0.970 2.690 -0.091 0.271 0.194
H -0.381 2.395 3.266 0.077 -0.132 0.039
H 0.174 0.913 4.082 -0.052 -0.017 -0.099
H 1.046 2.433 4.308 -0.086 -0.090 -0.035
H -0.006 0.007 1.804 0.512 -0.149 -0.151
H 0.053 1.340 0.695 0.105 -0.076 0.146
(So much for the calculated molecules)
1. The symbol ℗. 2. The year of first publication of the sound recording.3. The name of the owner of copyright in the sound recording, or an abbreviation by which the name can be recognized, or a generally known alternative designation of the owner. If the producer of the sound recording is named on the phonorecord label or container and if no other name appears in conjunction with the notice, the producer's name shall be considered a part of the notice.
Example: ℗ 2007 A. B. C. Records Inc.NOTE: Since questions may arise from the use of variant forms of the notice, you may wish to seek legal advice before using any form of the notice other than those given here.
Position of NoticeThe copyright notice should be affixed to copies or phonorecords in such a way as to "give reasonable notice of the claim of copyright." The three elements of the notice should ordinarily appear together on the copies or phonorecords or on the phonorecord label or container. The Copyright Office has issued regulations concerning the form and position of the copyright notice in the Code of Federal Regulations. For more information, see The US government’s website on copyright notice.
Publications Incorporating U. S. Government WorksCopyright notice becomes stranger when the work you made may not be entirely yours. For example, what happens if you decide to base your work partially on one of the public domain documents made by the federal government?
Works by the Federal government are not eligible in the United States.Works published before March 1, 1989, required that an author give special notice that a work consisted primarily of one or more U. S. Government works. This requirement has been eliminated.
Just like earlier, notice is good to include even when using government works because it allows you to defend against claims of innocent infringement and helps clarify for readers which portions of your work are protected and what parts are strictly public domain material from the government.
Example: © 2007 Jane Brown. Copyright claimed in Chapters 7-10, exclusive of U. S. Government mapsOne website suggests that “The author or copyright owner may wish to place a copyright notice on any unpublished copies or phonorecords that leave his or her control.”
Example: Unpublished work © 1999 Jane Doe The notice informs a person of three things: 1. The work has copyright protection. 2. Who the copyright owner is. 3. The year the work was first published.Additionally, in the event that a case of infringement goes to court, the person accused of infringing won’t have much of a case for claiming “innocent infringement” (not realizing the work was protected) if there’s a clear notice of copyright protection present on the work.
What is "notice?"Notice of copyright means informing the public, or putting the public on notice, that the work is protected by copyright. It also identifies the copyright owner and the year of first publication. Although the use of copyright notice is no longer required under United States copyright law, it is still a very relevant and important issue in copyright law. Its relevancy is due in large part to the fact that notice of copyright prevents an alleged copyright infringer from asserting innocent infringement as a defense.
To give notice, an author doesn’t have to get permission from or register with the United States Copyright Office. However, registering with the Copyright Office gives what is called “constructive notice” to the work, which means that an infringer will be presumed as knowing that the work being infringed upon is copyrighted, once again protecting from innocent infringement.
Notices should appear on copies of a work and include the following: 1. The symbol © (the letter C in a circle) or the word "Copyright." 2. The year of first publication of the work.3. The name of the copyright owner, in the work, or an abbreviation by which the name can be recognized.
An example of the three elements of copyright notice above is: © 2002 Jane DoeConsult “What is the symbol for copyright?” to learn more about how to create the various copyright symbols on your keyboard and their significance.
If you have questions regarding whether you need to place a copyright notice on your work or how to correctly comply with the notice requirements, feel free to contact New Media Rights via our contact form to find out whether you qualify for free or reduced fee legal services. We also offer competitive full fee legal services on a selective basis. For more information on the services we provide click here .